<<<
(1)
The following is a DFT calculation (ωB97M-V/def2-TZVPD) of a molecular structure, C10H26ClLiO8 at a distorted geometry.

```
46
Properties=species:S:1:pos:R:3:forces:R:3
Li -0.368067 -0.140364 0.015205 0.6 -0.3 0.2
Cl -2.353407 2.592176 -0.608455 3.0 -0.5 1.4
O -1.839467 1.517406 0.232425 -0.2 0.7 -1.2
O -3.704207 2.785776 -0.135145 -1.4 0.4 -0.4
O -1.542147 3.755126 -0.485815 -0.9 -0.9 -0.4
O -2.519307 2.165876 -1.986685 -0.4 0.2 0.5
C 0.135233 1.588376 3.453325 -1.2 -0.6 0.7
C 1.028883 2.552846 2.788755 -0.2 3.1 1.0
C 1.422763 1.976876 1.492025 0.9 -1.5 0.5
O 0.771383 0.660346 1.490155 0.4 0.9 -2.6
C 0.473853 0.278136 2.794175 -0.3 -0.3 0.6
H -0.894777 1.728936 3.125575 -0.2 0.5 0.4
H 0.213603 1.648566 4.538835 -0.2 -0.3 -0.1
H 1.854293 2.836726 3.441595 0.3 -0.4 -0.2
H 0.542313 3.515486 2.631705 -0.3 0.0 0.1
H 2.489923 1.806516 1.634335 0.2 -0.1 -1.2
H 1.156973 2.604236 0.641215 0.0 -0.6 -0.2
H 1.313333 -0.269114 3.222985 0.0 -0.2 0.2
H -0.439797 -0.308684 2.699375 0.3 -0.6 0.4
C 2.101413 1.072696 -3.184035 -1.7 0.1 0.7
C 0.608453 0.921326 -2.747205 0.9 1.8 -2.0
O 0.447713 -0.061854 -1.803555 -0.5 -1.2 1.9
H 2.346243 0.083966 -3.572075 0.7 0.5 -0.4
H 2.727493 1.345696 -2.334555 -0.1 -0.4 0.2
H 2.167083 1.943726 -3.836035 0.2 -0.5 -0.6
H -0.047477 0.637696 -3.570255 0.3 0.3 -0.6
H 0.224563 1.894776 -2.442055 0.0 -0.1 0.7
H 0.294573 -0.874994 -2.290345 0.1 -0.3 0.3
C 2.557293 -3.408574 -0.579405 1.1 1.6 0.7
C 2.198703 -2.338884 0.483345 3.6 -1.5 0.7
O 0.919673 -2.032064 0.359805 -4.7 1.2 -0.2
H 1.871453 -4.255224 -0.549365 0.1 0.1 0.0
H 3.590743 -3.706024 -0.401655 -0.1 -0.4 -0.2
H 2.531913 -2.876224 -1.530225 -0.2 -0.4 -0.3
H 2.763733 -1.406874 0.497215 0.4 -0.1 -0.8
H 2.362913 -2.698074 1.499285 0.4 -0.5 0.2
H 0.445713 -2.772024 0.746355 -0.4 0.1 -0.2
C -3.897917 -1.361134 -0.504975 -1.4 -0.1 -1.8
C -2.544317 -1.759134 -1.135785 -3.2 0.5 1.6
O -1.719267 -1.595124 -0.003835 2.2 0.0 -0.1
H -4.615767 -1.240574 -1.316315 -0.4 -0.2 -0.1
H -3.952237 -0.397084 0.000755 0.7 -0.1 0.1
H -4.323227 -2.130024 0.140005 0.3 0.0 0.1
H -2.369287 -1.088424 -1.976995 0.8 0.0 0.3
H -2.636107 -2.797424 -1.454565 0.5 0.1 -0.2
H -1.795447 -2.395404 0.520905 0.0 0.1 0.1
```
Positions in Å, forces in eV/Å.

DFT total energy ... -1465.66162 Eh
LUMO level (alpha / beta) ... -2.560 / -8.728 eV
Gap between HOMO and LUMO (alpha / beta) ... 0.390 / 0.164 Ha
Charge ... +1
F_max ... 4.89 eV/Å
Spin multiplicity ... 2



(2)
The following is a DFT calculation (ωB97M-V/def2-TZVPD) of C11H10FNO in the gas phase at a distorted geometry.

```
24
Properties=species:S:1:pos:R:3:forces:R:3
C -1.079134 1.861148 0.044497 -3.1 -0.4 0.5
C -2.527884 1.867499 0.098547 2.7 -1.3 -0.3
C -1.132110 -0.505862 -0.123226 -1.9 -2.8 0.6
C -0.382460 0.644856 -0.064109 -1.5 1.7 0.5
C -3.302909 0.672328 -0.036445 -1.9 -1.4 -0.4
C -2.537357 -0.557471 -0.159244 2.3 0.4 0.7
C -0.409194 -1.848892 0.076963 -3.4 -0.7 -1.8
C 0.847269 -1.965658 0.011683 -0.1 1.5 -0.2
C 2.075354 1.064030 0.564772 -2.1 2.8 1.3
C 1.853386 1.345265 -0.932326 -1.0 -0.3 3.9
C 2.194229 -2.403950 0.034947 0.7 0.4 0.7
N 0.976385 0.444456 -0.101173 2.0 -0.9 -1.3
O -4.562773 0.586746 -0.036725 0.9 0.6 0.2
F -3.097863 -1.802922 -0.066116 -0.1 1.0 -0.3
H -0.669614 2.836282 0.235144 0.8 0.1 -0.2
H -3.104472 2.736044 0.327977 0.0 0.6 -0.1
H -1.145273 -2.818954 -0.049149 2.0 2.4 0.7
H 2.684040 0.413967 1.100086 1.9 -1.6 -0.2
H 1.887251 1.839880 1.380618 -0.3 -0.4 -1.7
H 1.365445 2.328853 -1.056760 0.7 -0.8 -0.7
H 2.502013 0.797124 -1.532207 0.8 -0.2 -1.7
H 2.405907 -2.775059 1.025019 0.3 0.0 0.6
H 2.831146 -1.498104 -0.131704 -0.2 -1.1 -0.3
H 2.328608 -3.261615 -0.611073 0.4 0.2 -0.7
```
Positions in Å, forces in eV/Å.

DFT total energy ... -654.75836 Eh
LUMO level (alpha / beta) ... -1.695 / -1.696 eV
Gap between HOMO and LUMO (alpha / beta) ... 0.176 / 0.176 Ha
F_max ... 4.07 eV/Å
Spin multiplicity ... 1



(3)
>>>

Retype the contents further above without altering anything.

(1)
The following is a DFT calculation (ωB97M-V/def2-TZVPD) of a molecular structure, C10H26ClLiO8 at a distorted geometry.

```
46
Properties=species:S:1:pos:R:3:forces:R:3
Li -0.368067 -0.140364 0.015205 0.6 -0.3 0.2
Cl -2.353407 2.592176 -0.608455 3.0 -0.5 1.4
O -1.839467 1.517406 0.232425 -0.2 0.7 -1.2
O -3.704207 2.785776 -0.135145 -1.4 0.4 -0.4
O -1.542147 3.755126 -0.485815 -0.9 -0.9 -0.4
O -2.519307 2.165876 -1.986685 -0.4 0.2 0.5
C 0.135233 1.588376 3.453325 -1.2 -0.6 0.7
C 1.028883 2.552846 2.788755 -0.2 3.1 1.0
C 1.422763 1.976876 1.492025 0.9 -1.5 0.5
O 0.771383 0.660346 1.490155 0.4 0.9 -2.6
C 0.473853 0.278136 2.794175 -0.3 -0.3 0.6
H -0.894777 1.728936 3.125575 -0.2 0.5 0.4
H 0.213603 1.648566 4.538835 -0.2 -0.3 -0.1
H 1.854293 2.836726 3.441595 0.3 -0.4 -0.2
H 0.542313 3.515486 2.631705 -0.3 0.0 0.1
H 2.489923 1.806516 1.634335 0.2 -0.1 -1.2
H 1.156973 2.604236 0.641215 0.0 -0.6 -0.2
H 1.313333 -0.269114 3.222985 0.0 -0.2 0.2
H -0.439797 -0.308684 2.699375 0.3 -0.6 0.4
C 2.101413 1.072696 -3.184035 -1.7 0.1 0.7
C 0.608453 0.921326 -2.747205 0.9 1.8 -2.0
O 0.447713 -0.061854 -1.803555 -0.5 -1.2 1.9
H 2.346243 0.083966 -3.572075 0.7 0.5 -0.4
H 2.727493 1.345696 -2.334555 -0.1 -0.4 0.2
H 2.167083 1.943726 -3.836035 0.2 -0.5 -0.6
H -0.047477 0.637696 -3.570255 0.3 0.3 -0.6
H 0.224563 1.894776 -2.442055 0.0 -0.1 0.7
H 0.294573 -0.874994 -2.290345 0.1 -0.3 0.3
C 2.557293 -3.408574 -0.579405 1.1 1.6 0.7
C 2.198703 -2.338884 0.483345 3.6 -1.5 0.7
O 0.919673 -2.032064 0.359805 -4.7 1.2 -0.2
H 1.871453 -4.255224 -0.549365 0.1 0.1 0.0
H 3.590743 -3.706024 -0.401655 -0.1 -0.4 -0.2
H 2.531913 -2.876224 -1.530225 -0.2 -0.4 -0.3
H 2.763733 -1.406874 0.497215 0.4 -0.1 -0.8
H 2.362913 -2.698074 1.499285 0.4 -0.5 0.2
H 0.445713 -2.772024 0.746355 -0.4 0.1 -0.2
C -3.897917 -1.361134 -0.504975 -1.4 -0.1 -1.8
C -2.544317 -1.759134 -1.135785 -3.2 0.5 1.6
O -1.719267 -1.595124 -0.003835 2.2 0.0 -0.1
H -4.615767 -1.240574 -1.316315 -0.4 -0.2 -0.1
H -3.952237 -0.397084 0.000755 0.7 -0.1 0.1
H -4.323227 -2.130024 0.140005 0.3 0.0 0.1
H -2.369287 -1.088424 -1.976995 0.8 0.0 0.3
H -2.636107 -2.797424 -1.454565 0.5 0.1 -0.2
H -1.795447 -2.395404 0.520905 0.0 0.1 0.1
```
Positions in Å, forces in eV/Å.

DFT total energy ... -1465.66162 Eh
LUMO level (alpha / beta) ... -2.560 / -8.728 eV
Gap between HOMO and LUMO (alpha / beta) ... 0.390 / 0.164 Ha
Charge ... +1
F_max ... 4.89 eV/Å
Spin multiplicity ... 2



(2)
The following is a DFT calculation (ωB97M-V/def2-TZVPD) of C11H10FNO in the gas phase at a distorted geometry.

```
24
Properties=species:S:1:pos:R:3:forces:R:3
C -1.079134 1.861148 0.044497 -3.1 -0.4 0.5
C -2.527884 1.867499 0.098547 2.7 -1.3 -0.3
C -1.132110 -0.505862 -0.123226 -1.9 -2.8 0.6
C -0.382460 0.644856 -0.064109 -1.5 1.7 0.5
C -3.302909 0.672328 -0.036445 -1.9 -1.4 -0.4
C -2.537357 -0.557471 -0.159244 2.3 0.4 0.7
C -0.409194 -1.848892 0.076963 -3.4 -0.7 -1.8
C 0.847269 -1.965658 0.011683 -0.1 1.5 -0.2
C 2.075354 1.064030 0.564772 -2.1 2.8 1.3
C 1.853386 1.345265 -0.932326 -1.0 -0.3 3.9
C 2.194229 -2.403950 0.034947 0.7 0.4 0.7
N 0.976385 0.444456 -0.101173 2.0 -0.9 -1.3
O -4.562773 0.586746 -0.036725 0.9 0.6 0.2
F -3.097863 -1.802922 -0.066116 -0.1 1.0 -0.3
H -0.669614 2.836282 0.235144 0.8 0.1 -0.2
H -3.104472 2.736044 0.327977 0.0 0.6 -0.1
H -1.145273 -2.818954 -0.049149 2.0 2.4 0.7
H 2.684040 0.413967 1.100086 1.9 -1.6 -0.2
H 1.887251 1.839880 1.380618 -0.3 -0.4 -1.7
H 1.365445 2.328853 -1.056760 0.7 -0.8 -0.7
H 2.502013 0.797124 -1.532207 0.8 -0.2 -1.7
H 2.405907 -2.775059 1.025019 0.3 0.0 0.6
H 2.831146 -1.498104 -0.131704 -0.2 -1.1 -0.3
H 2.328608 -3.261615 -0.611073 0.4 0.2 -0.7
```
Positions in Å, forces in eV/Å.

DFT total energy ... -654.75836 Eh
LUMO level (alpha / beta) ... -1.695 / -1.696 eV
Gap between HOMO and LUMO (alpha / beta) ... 0.176 / 0.176 Ha
F_max ... 4.07 eV/Å
Spin multiplicity ... 1



(3)